U.S. must not abandon Afghan women

Last week, I attended a glitzy ceremony in New York City in which Bill Clinton awarded one of five Global Citizen Awards to Suraya Pakzad, who runs shelters for abused Afghan women. The crowd of eminent humanitarians, environmentalists and cultural pooh-bahs cheered.

But I felt a chill as I listened to Pakzad, whose organization I visited last year in Herat, Afghanistan. She spoke of her fear that Western troops will leave and let the Taliban retake the country, and all the fragile gains made by Afghan women in recent years will vanish.

“Please don’t leave us alone,” she said, looking very lonely on stage in her print head scarf and long, embroidered coat. “We lost lives for these rights. Stay with us today, because tomorrow it will be too late.”

Over the past decade, Afghan women’s rights became a sexy issue on all sides of the American political spectrum. But, at a time when the country is turning inward, I wonder if Americans care what happens to those brave little Afghan girls now eagerly attending school.

# Here the text breaks off for materials data
+++
# Ca2VBiO6 (PBE with a Hubbard U, relaxed)
# V, Å³ per cell: 306
# Electronic total energy, eV/cell: -136.737
# Space group: No. 36
# Density, g/cm3: 4.7
data_Ca2VBiO6
_chemical_formula_sum 'Ca4 V2 Bi2 O12'
_space_group_name_H-M_alt 'P 1'
_space_group_IT_number 1
_space_group_name_Hall 'P 1'
_cell_length_a 7.5486
_cell_length_b 7.5486
_cell_length_c 5.6014
_cell_angle_alpha 90.00
_cell_angle_beta 90.00
_cell_angle_gamma 106.61
loop_
_atom_site_label
_atom_site_type_symbol
_atom_site_fract_x
_atom_site_fract_y
_atom_site_fract_z
Ca1 Ca 0.9091 0.6955 0.7575
Ca2 Ca 0.0909 0.3045 0.2575
Ca3 Ca 0.3045 0.0909 0.7575
Ca4 Ca 0.6955 0.9091 0.2575
O1 O 0.6592 0.6477 0.5014
O2 O 0.3523 0.3408 0.5014
O3 O 0.0555 0.9445 0.4428
O4 O 0.4058 0.9057 0.4261
O5 O 0.5942 0.0943 0.9261
O6 O 0.6477 0.6592 0.0014
O7 O 0.3408 0.3523 0.0014
O8 O 0.9445 0.0555 0.9428
O9 O 0.8175 0.1825 0.4936
O10 O 0.9057 0.4058 0.9261
O11 O 0.1825 0.8175 0.9936
O12 O 0.0943 0.5942 0.4261
V1 V 0.8148 0.1852 0.8065
V2 V 0.1852 0.8148 0.3065
Bi1 Bi 0.4107 0.5893 0.7390
Bi2 Bi 0.5893 0.4107 0.2390

=====

A.
A plane-wave DFT calculation with PBE was carried out for crystalline YCr2Re at its relaxed geometry.

a b c (Å): 4.5468 4.5468 4.5468
angles (deg): 60.00 60.00 60.00
Closest atoms and distances in Å follow each position.
Element x y z (fractional)
Y 0.0000 0.0000 0.0000  4 Cr 2.78, 4 Re 2.78
Cr 0.2500 0.2500 0.2500  4 Cr 2.78, 4 Y 2.78
Cr 0.5000 0.5000 0.5000  4 Cr 2.78, 4 Re 2.78
Re 0.7500 0.7500 0.7500  4 Cr 2.78, 4 Y 2.78

Summary:
total magnetization	1.307	μB per formula unit
calculated density	9.47	g/cm³



B.
A plane-wave DFT calculation with PBE was carried out for crystalline YCr2Re at its relaxed geometry.

a b c (Å): 5.1937 5.1937 5.1937
angles (deg): 144.53 125.53 66.70
Closest atoms and distances in Å follow each position.
Element x y z (fractional)
Y 0.0000 0.0000 0.0000  8 Cr 2.85-3.09, 4 Re 2.86, 2 Y 3.16
Cr 0.2728 0.7728 0.5000  2 Re 2.53
Cr 0.7272 0.2272 0.5000  2 Re 2.53
Re 0.5000 0.5000 0.0000  4 Cr 2.53

Summary:
total magnetization	0.002	μB per formula unit
calculated density	9.65	g/cm³



C.
A plane-wave DFT calculation with PBE was carried out for crystalline YCr2Re at its relaxed geometry.

a b c (Å): 3.2322 4.5252 4.6057
angles (deg): 90.00 90.00 90.00
Closest atoms and distances in Å follow each position.
Element x y z (fractional)
Y 0.0000 0.0000 0.0000  4 Cr 2.78, 4 Re 2.81
Cr 0.0000 0.5000 0.5000  4 Re 2.78, 4 Cr 2.81
Cr 0.5000 0.5000 0.0000  4 Y 2.78, 4 Cr 2.81
Re 0.5000 0.0000 0.5000  4 Cr 2.78, 4 Y 2.81

Summary:
total magnetization	1.261	μB per formula unit
calculated density	9.34	g/cm³



Q: Which of them is the least stable? A: C.

=====

[1]
4
Lattice="1.728 0.998 10.121 -1.728 0.998 10.121 0.000 -1.996 10.121" Properties=species:S:1:pos:R:3 comment="YPa2P, optimized geometry, DFT GGA-PBE" formation_enthalpy_0k_ev_per_atom=-0.142 n_ef_per_ev_fu=6.87 final_energy_ev_per_atom=-7.86 spacegroup="R-3m (166)" pbc="T T T"
Y 0.000 0.000 0.000
+++

Pakzad fears a rapid U.S. troop withdrawal will induce the Afghan government to sue for peace with the Taliban at any price.

The current Afghan constitution endorses — at least on paper — many rights for women. Even though these provisions are often ignored, they do give women some legal recourse.

********
FeAsSBr2 (PBE-GGA, relaxed); formation energy from raw total energies = 974.6 meV per atom; mass density = 4.11 Mg/m³
1.0
-3.5314 -3.2044 1.9802
3.1501 -1.0238 3.9609
-1.9574 3.7121 2.5162
As S Br Fe
1 1 2 1
direct
0.0000 0.0000 0.5000 As
0.0000 0.0000 0.0000 S
0.5000 0.0000 0.0000 Br
0.0000 0.5000 0.0000 Br
0.5000 0.5000 0.5000 Fe
********

“Peace negotiations with the Taliban are a major concern for women,” Pakzad said, because “the Taliban conditions (include) changes in the constitution. The articles which guarantee rights for women will be removed.”

Already, she told me, the widespread belief that the Americans are leaving soon — fed by Obama’s July 2011 deadline for starting a drawdown — has emboldened religious hard-liners. Threats against activist women have increased, even in Herat, where the Taliban isn’t present.

I asked Melanne Verveer, Secretary of State Hillary Clinton’s dynamic ambassador-at-large on global women’s issues, what the administration is doing about this. (Verveer, who served as chief of staff to the first lady in the Clinton White House, co-founded Vital Voices, a nonprofit that works to help women in the Third World help themselves in business, politics and the household.)

Verveer spoke of Clinton’s intense interest — and former first lady Laura Bush’s strong interest — in helping Afghan women. “When Hillary went to Afghanistan,” she said, “she met with women first. Part of our challenge is to help women lift their voices.”

She stressed — and Pakzad would agree — that Afghan women don’t want to be seen as victims, but rather as the leaders that many of them have become over the past decade — in small businesses, education, health, and, to a limited but brave extent, in parliament.

“Secretary Clinton raised the question of women’s role in the peace process with (Afghan President Hamid) Karzai,” Verveer said. “She said any progress will be subverted if women are marginalized. If they are in the process, they stand a better chance.”

Perhaps. Yet much more remains to be done if Afghan women are to avoid becoming the first casualties of an American withdrawal. Any future Western aid to Afghanistan — whichever government is in charge — should be conditioned on continued education and health care for women. More private U.S. corporations can be encouraged to train Afghan women in business skills, as some are already doing.

And Afghan women need help honing their leadership skills. Pakzad wants to start a leadership institute where strong Afghan women can train and work toward forming a critical mass of female leaders.

Ordinary Americans can help. Universities, churches, and even private citizens can partner with and fund Afghan women’s groups, schools, and shelters so these women — and their government — know they are not alone.

Pakzad’s case is an example: Aldo Magazzeni, a businessman from Perkiomenville, Pa., raises money from churches and universities to help her shelters; Penn State Brandywine is collaborating with Pakzad on her women’s leadership project, and its students are raising funds.

Bottom line: If the United States quits Afghanistan heedlessly, women’s rights there will be a lost cause. But if we act responsibly and help Afghan women become stronger, Pakzad’s fears may be averted.

-- begin --
Record 1
DFT (PBE-GGA) results for crystalline Ni8PtRh5 at its relaxed geometry.

Cell lengths 6.2502, 6.2502, 6.2502 Å; angles 109.32, 109.77, 109.32 degrees
Last column: nearest neighbours and their distance in Å.
Positions (direct):
Ni (0.1340, 0.7000, 0.0729)  5 Rh 2.36-2.63, 1 Pt 2.47, 1 Ni 2.61
Ni (0.3730, 0.3000, 0.4340)  5 Rh 2.36-2.63, 1 Pt 2.47, 1 Ni 2.61
Ni (0.6474, 0.4052, 0.9281)  4 Ni 2.44-2.69, 5 Rh 2.58-2.69, 1 Pt 2.70
Ni (0.5229, 0.5948, 0.2422)  4 Ni 2.44-2.69, 5 Rh 2.58-2.69, 1 Pt 2.70
Ni (0.0719, 0.7193, 0.4771)  4 Ni 2.44-2.69, 5 Rh 2.58-2.69, 1 Pt 2.70
Ni (0.5660, 0.9389, 0.8660)  5 Rh 2.36-2.63, 1 Pt 2.47, 1 Ni 2.61
Ni (0.9271, 0.0611, 0.6270)  5 Rh 2.36-2.63, 1 Pt 2.47, 1 Ni 2.61
Ni (0.7578, 0.2807, 0.3526)  4 Ni 2.44-2.69, 5 Rh 2.58-2.69, 1 Pt 2.70
Rh (0.2894, 0.0877, 0.9790)  8 Ni 2.41-2.69, 2 Rh 2.67
Rh (0.0210, 0.3104, 0.1088)  8 Ni 2.41-2.69, 2 Rh 2.67
Rh (0.5000, 0.0000, 0.5000)  8 Ni 2.36-2.59
Rh (0.7984, 0.6896, 0.7106)  8 Ni 2.41-2.69, 2 Rh 2.67
Rh (0.8912, 0.9123, 0.2016)  8 Ni 2.41-2.69, 2 Rh 2.67
Pt (0.2500, 0.5000, 0.7500)  8 Ni 2.47-2.70

Computed properties:
Space group ... I-4 (82)
Energy of formation from the pure elements ... 0.2750 eV/atom
Crystal system ... tetragonal

Record 2
DFT (PBE-GGA) results for crystalline NdHoEr3Sc at its relaxed geometry.

Cell lengths 4.9467, 7.8119, 9.9224 Å; angles 90.00, 90.00, 108.46 degrees
Last column: nearest neighbours and their distance in Å.
Positions (direct):
Sc (0.8315, 0.6629, 0.7500)  8 Er 3.44-3.50, 2 Nd 3.49, 2 Ho 3.52
Sc (0.1685, 0.3371, 0.2500)  8 Er 3.44-3.50, 2 Nd 3.49, 2 Ho 3.52
Er (0.6682, 0.3364, 0.0000)  5 Er 3.45-3.50, 3 Sc 3.46-3.50, 2 Nd 3.49-3.54, 2 Ho 3.51
Er (0.3318, 0.6636, 0.5000)  5 Er 3.45-3.50, 3 Sc 3.46-3.50, 2 Nd 3.49-3.54, 2 Ho 3.51
Er (0.1699, 0.3398, 0.7500)  2 Sc 3.44, 6 Er 3.45-3.50, 2 Ho 3.53, 2 Nd 3.55
Er (0.3318, 0.6636, 0.0000)  5 Er 3.45-3.50, 3 Sc 3.46-3.50, 2 Nd 3.49-3.54, 2 Ho 3.51
Er (0.6682, 0.3364, 0.5000)  5 Er 3.45-3.50, 3 Sc 3.46-3.50, 2 Nd 3.49-3.54, 2 Ho 3.51
Er (0.8301, 0.6602, 0.2500)  2 Sc 3.44, 6 Er 3.45-3.50, 2 Ho 3.53, 2 Nd 3.55
Nd (0.5024, 0.0047, 0.2500)  2 Sc 3.49, 6 Er 3.49-3.55, 4 Ho 3.50
Nd (0.4976, 0.9953, 0.7500)  2 Sc 3.49, 6 Er 3.49-3.55, 4 Ho 3.50
Ho (0.0000, 0.0000, 0.0000)  4 Nd 3.50, 6 Er 3.51-3.53, 2 Sc 3.52
Ho (0.0000, 0.0000, 0.5000)  4 Nd 3.50, 6 Er 3.51-3.53, 2 Sc 3.52

Computed properties:
Space group ... Cmcm (63)
Energy of formation from the pure elements ... 0.0398 eV/atom
Crystal system ... orthorhombic

Record 3
DFT (PBE-GGA) results for crystalline NpCdGaAg at its relaxed geometry.

Cell lengths 4.9509, 4.9509, 4.9509 Å; angles 60.00, 60.00, 60.00 degrees
Last column: nearest neighbours and their distance in Å.
Positions (direct):
Cd (0.0000, 0.0000, 0.0000)  4 Ag 3.03, 4 Ga 3.03
Ag (0.2500, 0.2500, 0.2500)  4 Cd 3.03, 4 Np 3.03
Np (0.5000, 0.5000, 0.5000)  4 Ga 3.03, 4 Ag 3.03
Ga (0.7500, 0.7500, 0.7500)  4 Cd 3.03, 4 Np 3.03

Computed properties:
Space group ... F-43m (216)
-- stop --

“Afghan women want an end to this conflict, but they don’t want to be sold down the river,” Verveer says. True, and if those who profess to care about Afghan women let that happen, shame on us.

— Trudy Rubin is a columnist and editorial-board member for the Philadelphia Inquirer. trubin@phillynews.com